Assignment:
The reader should say how many lines of the entries below hold the word "lowest", as a bare number.
Material:
........
HoMgIn4, relaxed, DFT PBE-GGA; total magnetic moment = 0.00 μB/atom; energy relative to the lowest polymorph listed for this composition = 0.0000 eV per atom; DOS(E_F) = 4.44 states/eV per cell; space group = No. 216; ΔH_f (0 K) = -0.349 eV per formula unit; volume = 154.7 Å³/cell
1.0
0.000 4.260 4.260
4.260 0.000 4.260
4.260 4.260 0.000
Ho Mg In
1 1 4
direct
0.000 0.000 0.000
0.250 0.250 0.250
0.125 0.625 0.625
0.625 0.125 0.625
0.625 0.625 0.125
0.625 0.625 0.625
........
Reply:
1